Next, copy the calculation results below verbatim.
~~~
Record 1
Below is a relaxed structure of NaGdCl4, with properties calculated at the r²SCAN level.

Structure (POSCAR):
```
NaGdCl4
1.0
-3.702 4.840 -2.724
-6.199 -1.835 2.004
0.608 3.992 5.701
Gd Cl Na
2 8 2
direct
0.211 0.701 0.945
0.789 0.299 0.055
0.569 0.688 0.122
0.907 0.998 0.788
0.395 0.796 0.631
0.605 0.204 0.369
0.952 0.498 0.753
0.048 0.502 0.247
0.431 0.312 0.878
0.093 0.002 0.212
0.229 0.195 0.535
0.771 0.805 0.465
```

SG = P-1
DFT formation energy = -2.35 eV per atom
Volume = 310 Å³ per cell



Record 2
Below is a relaxed structure of Ba3SbI3, with properties calculated at the r²SCAN level.

Structure (POSCAR):
```
Ba3SbI3
1.0
-7.104 7.103 7.103
7.103 -7.103 7.103
7.103 7.102 -7.103
Ba Sb I
12 4 12
direct
0.244 0.487 0.494
0.006 0.013 0.256
0.487 0.494 0.244
0.244 0.256 0.750
0.013 0.256 0.006
0.750 0.244 0.256
0.494 0.244 0.487
0.750 0.006 0.494
0.494 0.750 0.006
0.256 0.750 0.244
0.006 0.494 0.750
0.256 0.006 0.013
0.250 0.250 0.250
0.000 0.250 0.500
0.250 0.500 0.000
0.500 0.000 0.250
0.499 0.499 0.749
0.001 0.001 0.751
0.749 0.499 0.499
0.250 0.749 0.751
0.001 0.499 0.250
0.001 0.751 0.001
0.499 0.250 0.001
0.751 0.001 0.001
0.749 0.751 0.250
0.499 0.749 0.499
0.250 0.001 0.499
0.751 0.250 0.749
```

SG = I4_132
DFT formation energy = -1.80 eV per atom
Volume = 1433 Å³ per cell



Record 3
Below is a relaxed structure of EuHCl, with properties calculated at the r²SCAN level.

Structure (POSCAR):
```
EuHCl
1.0
-3.919 0.541 -0.709
-0.839 -3.318 2.107
-0.521 3.798 5.773
Cl Eu H
2 2 2
direct
0.500 0.000 0.649
0.000 0.500 0.351
0.500 0.000 0.201
0.000 0.500 0.799
0.000 0.000 0.000
0.500 0.500 0.000
```

SG = P4/nmm
DFT formation energy = -1.74 eV per atom
Volume = 112 Å³ per cell



Record 4
Below is a relaxed structure of Ti3Nb, with properties calculated at the r²SCAN level.

Structure (POSCAR):
```
Ti3Nb
1.0
-2.501 -1.352 0.556
2.280 -1.345 1.175
-0.982 4.915 7.531
Ti Nb
3 1
direct
0.791 0.209 0.752
0.791 0.209 0.248
0.183 0.817 0.000
0.235 0.765 0.500
```

SG = Amm2
DFT formation energy = 0.07 eV per atom
Volume = 70 Å³ per cell



Record 5
Below is a relaxed structure of Be2Re, with properties calculated at the r²SCAN level.

Structure (POSCAR):
```
Be2Re
1.0
4.362 0.000 0.000
-2.181 3.777 0.000
0.000 0.000 7.123
Be Re
8 4
direct
0.662 0.831 0.750
0.831 0.662 0.250
0.000 0.000 0.500
0.338 0.169 0.250
0.831 0.169 0.250
0.000 0.000 0.000
0.169 0.831 0.750
0.169 0.338 0.750
0.667 0.333 0.561
0.667 0.333 0.939
0.333 0.667 0.061
0.333 0.667 0.439
```

SG = P6_3/mmc
DFT formation energy = -0.41 eV per atom
Volume = 117 Å³ per cell



Record 6
Below is a relaxed structure of Ho7Co6Sn23, with properties calculated at the r²SCAN level.

Structure (POSCAR):
```
Ho7Co6Sn23
1.0
2.470 5.063 -7.838
-7.667 2.643 5.234
5.753 5.746 5.525
Ho Sn Co
7 23 6
direct
0.521 0.043 0.693
0.479 0.521 0.307
0.479 0.957 0.307
0.000 0.000 0.000
0.521 0.479 0.693
0.043 0.521 0.307
0.957 0.479 0.693
0.333 0.667 0.116
0.766 0.883 0.275
0.000 0.653 0.000
0.234 0.117 0.725
0.117 0.234 0.275
0.781 0.561 0.451
0.781 0.219 0.451
0.883 0.117 0.725
0.561 0.781 0.549
0.219 0.781 0.549
0.347 0.347 0.000
0.000 0.000 0.500
0.653 0.000 0.000
0.439 0.219 0.451
0.667 0.333 0.180
0.219 0.439 0.549
0.667 0.333 0.884
0.117 0.883 0.275
0.347 0.000 0.000
0.653 0.653 0.000
0.333 0.667 0.820
0.000 0.347 0.000
0.883 0.766 0.725
0.335 0.167 0.197
0.665 0.833 0.803
0.833 0.167 0.197
0.167 0.833 0.803
0.833 0.665 0.197
0.167 0.335 0.803
```

SG = P-3m1
DFT formation energy = -0.36 eV per atom
Volume = 793 Å³ per cell



Record 7
Below is a relaxed structure of Ba3Yb4O9, with properties calculated at the r²SCAN level.

Structure (POSCAR):
```
Ba3Yb4O9
1.0
8.479 -3.001 0.069
8.479 3.001 0.069
7.376 0.000 5.149
Ba O Yb
3 9 4
direct
0.012 0.012 0.012
0.174 0.174 0.174
0.591 0.591 0.591
0.684 0.628 0.138
0.053 0.134 0.592
0.138 0.684 0.628
0.050 0.573 0.489
0.628 0.138 0.684
0.592 0.053 0.134
0.134 0.592 0.053
0.573 0.489 0.050
0.489 0.050 0.573
0.311 0.311 0.311
~~~
Record 1
Below is a relaxed structure of NaGdCl4, with properties calculated at the r²SCAN level.

Structure (POSCAR):
```
NaGdCl4
1.0
-3.702 4.840 -2.724
-6.199 -1.835 2.004
0.608 3.992 5.701
Gd Cl Na
2 8 2
direct
0.211 0.701 0.945
0.789 0.299 0.055
0.569 0.688 0.122
0.907 0.998 0.788
0.395 0.796 0.631
0.605 0.204 0.369
0.952 0.498 0.753
0.048 0.502 0.247
0.431 0.312 0.878
0.093 0.002 0.212
0.229 0.195 0.535
0.771 0.805 0.465
```

SG = P-1
DFT formation energy = -2.35 eV per atom
Volume = 310 Å³ per cell



Record 2
Below is a relaxed structure of Ba3SbI3, with properties calculated at the r²SCAN level.

Structure (POSCAR):
```
Ba3SbI3
1.0
-7.104 7.103 7.103
7.103 -7.103 7.103
7.103 7.102 -7.103
Ba Sb I
12 4 12
direct
0.244 0.487 0.494
0.006 0.013 0.256
0.487 0.494 0.244
0.244 0.256 0.750
0.013 0.256 0.006
0.750 0.244 0.256
0.494 0.244 0.487
0.750 0.006 0.494
0.494 0.750 0.006
0.256 0.750 0.244
0.006 0.494 0.750
0.256 0.006 0.013
0.250 0.250 0.250
0.000 0.250 0.500
0.250 0.500 0.000
0.500 0.000 0.250
0.499 0.499 0.749
0.001 0.001 0.751
0.749 0.499 0.499
0.250 0.749 0.751
0.001 0.499 0.250
0.001 0.751 0.001
0.499 0.250 0.001
0.751 0.001 0.001
0.749 0.751 0.250
0.499 0.749 0.499
0.250 0.001 0.499
0.751 0.250 0.749
```

SG = I4_132
DFT formation energy = -1.80 eV per atom
Volume = 1433 Å³ per cell



Record 3
Below is a relaxed structure of EuHCl, with properties calculated at the r²SCAN level.

Structure (POSCAR):
```
EuHCl
1.0
-3.919 0.541 -0.709
-0.839 -3.318 2.107
-0.521 3.798 5.773
Cl Eu H
2 2 2
direct
0.500 0.000 0.649
0.000 0.500 0.351
0.500 0.000 0.201
0.000 0.500 0.799
0.000 0.000 0.000
0.500 0.500 0.000
```

SG = P4/nmm
DFT formation energy = -1.74 eV per atom
Volume = 112 Å³ per cell



Record 4
Below is a relaxed structure of Ti3Nb, with properties calculated at the r²SCAN level.

Structure (POSCAR):
```
Ti3Nb
1.0
-2.501 -1.352 0.556
2.280 -1.345 1.175
-0.982 4.915 7.531
Ti Nb
3 1
direct
0.791 0.209 0.752
0.791 0.209 0.248
0.183 0.817 0.000
0.235 0.765 0.500
```

SG = Amm2
DFT formation energy = 0.07 eV per atom
Volume = 70 Å³ per cell



Record 5
Below is a relaxed structure of Be2Re, with properties calculated at the r²SCAN level.

Structure (POSCAR):
```
Be2Re
1.0
4.362 0.000 0.000
-2.181 3.777 0.000
0.000 0.000 7.123
Be Re
8 4
direct
0.662 0.831 0.750
0.831 0.662 0.250
0.000 0.000 0.500
0.338 0.169 0.250
0.831 0.169 0.250
0.000 0.000 0.000
0.169 0.831 0.750
0.169 0.338 0.750
0.667 0.333 0.561
0.667 0.333 0.939
0.333 0.667 0.061
0.333 0.667 0.439
```

SG = P6_3/mmc
DFT formation energy = -0.41 eV per atom
Volume = 117 Å³ per cell



Record 6
Below is a relaxed structure of Ho7Co6Sn23, with properties calculated at the r²SCAN level.

Structure (POSCAR):
```
Ho7Co6Sn23
1.0
2.470 5.063 -7.838
-7.667 2.643 5.234
5.753 5.746 5.525
Ho Sn Co
7 23 6
direct
0.521 0.043 0.693
0.479 0.521 0.307
0.479 0.957 0.307
0.000 0.000 0.000
0.521 0.479 0.693
0.043 0.521 0.307
0.957 0.479 0.693
0.333 0.667 0.116
0.766 0.883 0.275
0.000 0.653 0.000
0.234 0.117 0.725
0.117 0.234 0.275
0.781 0.561 0.451
0.781 0.219 0.451
0.883 0.117 0.725
0.561 0.781 0.549
0.219 0.781 0.549
0.347 0.347 0.000
0.000 0.000 0.500
0.653 0.000 0.000
0.439 0.219 0.451
0.667 0.333 0.180
0.219 0.439 0.549
0.667 0.333 0.884
0.117 0.883 0.275
0.347 0.000 0.000
0.653 0.653 0.000
0.333 0.667 0.820
0.000 0.347 0.000
0.883 0.766 0.725
0.335 0.167 0.197
0.665 0.833 0.803
0.833 0.167 0.197
0.167 0.833 0.803
0.833 0.665 0.197
0.167 0.335 0.803
```

SG = P-3m1
DFT formation energy = -0.36 eV per atom
Volume = 793 Å³ per cell



Record 7
Below is a relaxed structure of Ba3Yb4O9, with properties calculated at the r²SCAN level.

Structure (POSCAR):
```
Ba3Yb4O9
1.0
8.479 -3.001 0.069
8.479 3.001 0.069
7.376 0.000 5.149
Ba O Yb
3 9 4
direct
0.012 0.012 0.012
0.174 0.174 0.174
0.591 0.591 0.591
0.684 0.628 0.138
0.053 0.134 0.592
0.138 0.684 0.628
0.050 0.573 0.489
0.628 0.138 0.684
0.592 0.053 0.134
0.134 0.592 0.053
0.573 0.489 0.050
0.489 0.050 0.573
0.311 0.311 0.311